[To do]
Next, say how many lines of the block underneath hold the word "formation", as a bare number.

[File]
=====
Here is a geometry-optimized Na3CrO4 structure from Materials Project. Energies are from PBE with a Hubbard U.

Lattice parameters (Å, degrees): 12.3514 7.1486 5.6615 90.00 90.00 90.00
Space group Pnma (No. 62)
Symmetry-distinct sites (fractional):
Na  0.0758  0.2500  0.2119 x4
Na  0.1633  0.5006  0.7966 x8
Cr  0.0879  0.7500  0.3063 x4
O  0.0455  0.2500  0.7877 x4
O  0.0884  0.7500  0.6116 x4
O  0.1566  0.5524  0.2077 x8


Here is a geometry-optimized Na2CrO4 structure from Materials Project. Energies are from PBE with a Hubbard U.

Output
As for the total magnetization: 0.00 μB/f.u.

Lattice parameters (Å, degrees): 15.6798 15.6798 10.5999 90.00 90.00 120.00
Space group R-3 (No. 148, hexagonal axes)
Symmetry-distinct sites (fractional):
Na  0.0185  0.2078  0.0854 x18
Na  0.0211  0.2138  0.4196 x18
Cr  0.0145  0.2110  0.7509 x18
O  0.0081  0.3138  0.7526 x18
O  0.0697  0.2039  0.8815 x18
O  0.0762  0.2094  0.6231 x18
O  0.1003  0.8841  0.2532 x18


no.,calculated formation energy (kJ/mol of atoms),E (eV/atom)
1,-189.46,-5.547
2,-190.04,-5.876

~~~~~

1.
# Ba2InS4, optimized geometry, DFT PBE-GGA
# * energy of formation from the pure elements: -12.08 eV/f.u.
data_Ba2InS4
_symmetry_space_group_name_H-M 'P 1'
_symmetry_Int_Tables_number 1
_cell_length_a 6.3416
_cell_length_b 10.1902
_cell_length_c 13.2330
_cell_angle_alpha 104.18
_cell_angle_beta 90.43
_cell_angle_gamma 91.08
loop_
_symmetry_equiv_pos_as_xyz
'x,y,z'
loop_
_atom_site_label
_atom_site_type_symbol
_atom_site_fract_x
_atom_site_fract_y
_atom_site_fract_z
Ba1 Ba 0.2379 0.0789 0.3818
S1 S 0.2475 0.6323 0.9522
S2 S 0.2806 0.7445 0.2764
In1 In 0.8319 0.1966 0.8887
S3 S 0.0809 0.3481 0.3127
In2 In 0.6786 0.7927 0.3034
Ba2 Ba 0.7621 0.9211 0.6182
S4 S 0.5854 0.6525 0.6867
S5 S 0.7560 0.9606 0.8864
Ba3 Ba 0.7443 0.5751 0.8922
S6 S 0.4146 0.3475 0.3133
S7 S 0.7194 0.2555 0.7236
Ba4 Ba 0.7411 0.1071 0.1504
S8 S 0.7357 0.0405 0.3925
S9 S 0.7710 0.7800 0.1205
Ba5 Ba 0.2557 0.4249 0.1078
Ba6 Ba 0.7458 0.3787 0.5232
In3 In 0.3214 0.2073 0.6966
Ba7 Ba 0.2542 0.6213 0.4768
S10 S 0.2643 0.9595 0.6075
In4 In 0.1681 0.8034 0.1113
S11 S 0.7525 0.3677 0.0478
S12 S 0.2440 0.0394 0.1136
Ba8 Ba 0.2589 0.8929 0.8496
S13 S 0.2396 0.3360 0.5704
S14 S 0.2290 0.2200 0.8795
S15 S 0.7604 0.6640 0.4296
S16 S 0.9191 0.6519 0.6873

2.
# Ba2In2S5, optimized geometry, DFT PBE-GGA
# * energy of formation from the pure elements: -14.26 eV/f.u.
data_Ba2In2S5
_symmetry_space_group_name_H-M 'P 1'
_symmetry_Int_Tables_number 1
_cell_length_a 11.9940
_cell_length_b 12.9249
_cell_length_c 13.3990
_cell_angle_alpha 90.00
_cell_angle_beta 90.00
_cell_angle_gamma 90.00
loop_
_symmetry_equiv_pos_as_xyz
'x,y,z'
loop_
_atom_site_label
_atom_site_type_symbol
_atom_site_fract_x
_atom_site_fract_y
_atom_site_fract_z
In1 In 0.9426 0.2991 0.9500
In2 In 0.4426 0.2009 0.9500
S1 S 0.2584 0.4878 0.2911
In3 In 0.2253 0.4653 0.9723
In4 In 0.2747 0.9653 0.0277
S2 S 0.7428 0.3564 0.9596
S3 S 0.2428 0.1436 0.9596
S4 S 0.7572 0.3564 0.4596
S5 S 0.5691 0.1111 0.0700
Ba1 Ba 0.9947 0.9744 0.1940
S6 S 0.0691 0.3889 0.0700
S7 S 0.2416 0.9878 0.7089
In5 In 0.2747 0.4653 0.4723
S8 S 0.2428 0.6436 0.5404
S9 S 0.4309 0.8889 0.9300
S10 S 0.5020 0.7781 0.2235
S11 S 0.9309 0.6111 0.9300
S12 S 0.9060 0.6215 0.4748
S13 S 0.5940 0.6215 0.9748
Ba2 Ba 0.4947 0.0256 0.3060
S14 S 0.0020 0.7219 0.2235
Ba3 Ba 0.7516 0.7537 0.8088
S15 S 0.2584 0.9878 0.2089
S16 S 0.7572 0.8564 0.0404
Ba4 Ba 0.7516 0.2537 0.6912
S17 S 0.4980 0.7219 0.7235
S18 S 0.0020 0.2219 0.2765
Ba5 Ba 0.4947 0.5256 0.1940
Ba6 Ba 0.7484 0.7537 0.3088
S19 S 0.5020 0.2781 0.2765
Ba7 Ba 0.2516 0.7463 0.8088
S20 S 0.4060 0.3785 0.0252
S21 S 0.5940 0.1215 0.5252
Ba8 Ba 0.0053 0.0256 0.8060
S22 S 0.9980 0.2781 0.7765
S23 S 0.7584 0.5122 0.2089
S24 S 0.7416 0.5122 0.7089
Ba9 Ba 0.2484 0.2463 0.1912
S25 S 0.2416 0.4878 0.7911
In6 In 0.0574 0.2009 0.4500
S26 S 0.2572 0.1436 0.4596
S27 S 0.7584 0.0122 0.2911
Ba10 Ba 0.5053 0.4744 0.8060
In7 In 0.9426 0.7991 0.5500
=====

[Here it is]
3